This includes family organization, religion, law, and morality. "And here it becomes evident, that the bourgeoisie is unfit any longer to be the ruling class in society, and to impose its conditions of existence upon society as an overriding law" (Marx, 21). ...
The Communist Manifesto begins with Marx's generalization that " history of all hitherto existing society is the history of class struggles." (Howard: 10) Marx describes the classes in terms of binary oppositions, with one party as oppressor, the other as oppressed. The complex and multi-member clas...
Kierkegaard wrote writes about the "teleological suspension of the ethical", that is, the suspension of the moral law for the sake of a higher law. ... He thought it possible for faith to override the conventions of morality and the longings of the heart out of a higher conviction. ...
The racial, ethnic, women and sexual moralities in most states are over represented in the lower ends, which increases these measures and under-representation that raises structural inequality specter. ... If good laws were established and fair interpretation is applied to them, we could have more fair and balanced society. In addition to advocacy and law amendments, interest groups mobilize resources that assist in meeting some of the needs these marginalized groups lack. ...
In achieving this goal, the proletariat will destroy all remnants of bourgeoisie culture including family, religion, and morality. ... The proletariat wanted to retain capitalism, but install laws protecting workers' rights, allowing them more social equality in their fight against the bourgeoisie. ... This social change introduced laws prohibiting the bourgeoisie from forcing the proletariat class to work in such poor conditions as during the Industrial Revolution. ... Such legislation allowed unions to exist, provided fair labor laws for working-class Americans, and provided financial a...
Marx vs. Weber Karl Marx and Max Weber, both social scientists, devoted much of their work to the defining of capitalism through understanding its creation, causes, workings, and destiny. In their evaluations of capitalism they arrive at two distinct conclusion caused by similar and distinctly dif...
Next to the text, the page also holds records of crystals >
Below is crystalline Hf9CoMo4 at its relaxed geometry, with properties calculated at the r²SCAN level.

Cell: 8.6569 8.6569 8.3687 Å, 90.00 90.00 120.00°
Space group P6_3/mmc (No. 194)
Unique sites:
Hf (0.0841, 0.5421, 0.2500)
Hf (0.2021, 0.4043, 0.5592)
Co (0.3333, 0.6667, 0.7500)
Mo (0.0000, 0.0000, 0.0000)
Mo (0.1113, 0.2225, 0.2500)

Values from the calculation:
Spin magnetization: 0.00 μB/f.u.



Below is crystalline Ho5SbPd2 at its relaxed geometry, with properties calculated at the r²SCAN level.

Cell: 7.684 7.684 13.552 Å, 90.00 90.00 90.00°
Space group I4/mcm (No. 140)
Unique sites:
Ho (0.000, 0.000, 0.000)
Ho (0.156, 0.344, 0.142)
Sb (0.000, 0.000, 0.250)
Pd (0.137, 0.363, 0.500)

Values from the calculation:
Spin magnetization: 0.00 μB/f.u.



Below is crystalline EuLu2Se4 at its relaxed geometry, with properties calculated at the r²SCAN level.

Cell: 12.372 4.042 14.615 Å, 90.00 90.00 90.00°
Space group Pnma (No. 62)
Unique sites:
Eu (0.240, 0.250, 0.166)
Lu (0.060, 0.250, 0.388)
Lu (0.084, 0.250, 0.903)
Se (0.028, 0.750, 0.785)
Se (0.091, 0.250, 0.576)
Se (0.128, 0.750, 0.031)
Se (0.205, 0.750, 0.330)

Values from the calculation:
Spin magnetization: 7.00 μB/f.u.



Below is crystalline Li4Mn3OF8 at its relaxed geometry, with properties calculated at the r²SCAN level.

Cell: 5.060 10.252 10.336 Å, 97.19 90.27 91.49°
Space group P1 (No. 1)
Unique sites:
Li (0.000, 0.000, 0.000)
Li (0.000, 0.054, 0.728)
Li (0.039, 0.535, 0.455)
Li (0.041, 0.759, 0.842)
Li (0.052, 0.140, 0.259)
Li (0.054, 0.402, 0.177)
Li (0.092, 0.812, 0.590)
Li (0.098, 0.654, 0.086)
Li (0.117, 0.872, 0.328)
Li (0.980, 0.279, 0.930)
Li (0.993, 0.259, 0.526)
Li (0.995, 0.477, 0.735)
Mn (0.492, 0.262, 0.713)
Mn (0.504, 0.067, 0.470)
Mn (0.514, 0.172, 0.055)
Mn (0.522, 0.359, 0.396)
Mn (0.534, 0.923, 0.830)
Mn (0.537, 0.884, 0.126)
Mn (0.540, 0.532, 0.941)
Mn (0.558, 0.606, 0.617)
Mn (0.606, 0.650, 0.314)
O (0.354, 0.247, 0.527)
O (0.358, 0.992, 0.997)
O (0.398, 0.548, 0.440)
F (0.245, 0.491, 0.068)
F (0.288, 0.746, 0.222)
F (0.289, 0.897, 0.484)
F (0.294, 0.275, 0.221)
F (0.304, 0.702, 0.952)
F (0.309, 0.019, 0.283)
F (0.334, 0.270, 0.901)
F (0.334, 0.762, 0.709)
F (0.351, 0.478, 0.747)
F (0.358, 0.057, 0.714)
F (0.741, 0.623, 0.109)
F (0.760, 0.844, 0.297)
F (0.793, 0.376, 0.829)
F (0.797, 0.316, 0.079)
F (0.799, 0.198, 0.377)
F (0.801, 0.622, 0.788)
F (0.814, 0.057, 0.145)
F (0.814, 0.141, 0.618)
F (0.818, 0.842, 0.970)
F (0.839, 0.107, 0.887)
F (0.848, 0.473, 0.310)
F (0.861, 0.431, 0.570)
F (0.865, 0.690, 0.502)
F (0.876, 0.884, 0.720)

Values from the calculation:
Spin magnetization: 15.00 μB/f.u.



Below is crystalline CuMoF6 at its relaxed geometry, with properties calculated at the r²SCAN level.

Cell: 4.920 5.034 5.438 Å, 63.20 89.10 61.28°
Space group P-1 (No. 2)
Unique sites:
Cu (0.000, 0.000, 0.000)
Mo (0.500, 0.000, 0.500)
F (0.120, 0.129, 0.261)
F (0.243, 0.149, 0.750)
F (0.419, 0.462, 0.265)

Values from the calculation:
Spin magnetization: 1.00 μB/f.u.
End of the records of crystals >
This philosophy is the groundwork for what we now more wholly understand as laws of nature, in whatever form, not to be exploited or undermined. ... Along with advances in science and technology, philosophers began to see the world as governed by natural laws such as gravity and motion. ... Jefferson's words of the new Constitution were based on strong merit, but may have been overly optimistic considering the state of morality at the time: "I believe this the strongest government on earth. I believe it the only one where every man, at the call of the law, would fly to the standard of the...